Material
No. 1
This record from the Alexandria database describes a relaxed structure of Zn5FeCu4. The functional is GGA-PBE.

The spin magnetization comes out at 0.21 μB per atom. The calculated formation energy is -67 meV/atom.

The space group is P4/mmm (No. 123) and the conventional cell measures 2.698, 2.698 and 17.794 Å, with angles of 90.00, 90.00 and 90.00 degrees. The asymmetric unit holds Zn at (0.000, 0.000, 0.000), Zn at (0.000, 0.000, 0.200), Zn at (0.000, 0.000, 0.400), Fe at (0.500, 0.500, 0.500), Cu at (0.500, 0.500, 0.100) and Cu at (0.500, 0.500, 0.300).


No. 2
This record from the Alexandria database describes a relaxed structure of Zn8FeCu2. The functional is GGA-PBE.

The spin magnetization comes out at 0.17 μB per atom. The calculated formation energy is -20 meV/atom.

The space group is C2/m (No. 12) and the conventional cell measures 13.706, 3.789 and 6.032 Å, with angles of 90.00, 106.59 and 90.00 degrees. The asymmetric unit holds Zn at (0.046, 0.000, 0.237), Zn at (0.095, 0.500, 0.957), Zn at (0.137, 0.000, 0.687), Zn at (0.180, 0.500, 0.411), Fe at (0.000, 0.500, 0.500) and Cu at (0.230, 0.000, 0.141).


No. 3
This record from the Alexandria database describes a relaxed structure of ZnFe2Cu. The functional is GGA-PBE.

The spin magnetization comes out at 1.19 μB per atom. The calculated formation energy is 83 meV/atom.

The space group is Cm (No. 8) and the conventional cell measures 8.430, 2.538 and 4.627 Å, with angles of 90.00, 97.88 and 90.00 degrees. The asymmetric unit holds Zn at (0.000, 0.000, 0.000), Fe at (0.004, 0.500, 0.497), Fe at (0.251, 0.500, 0.261) and Cu at (0.250, 0.000, 0.753).


Among the records above, which one has the lowest calculated formation energy?
Zn5FeCu4


Among the records above, which one has the highest spin magnetization?
ZnFe2Cu


What is the spin magnetization in the third record?
1.19 μB per atom

----------

Entry 1:
Pm6Te3As2Se | PBE | optimized geometry

Its total magnetic moment is 0.00 Bohr magnetons per cell. Its density is 7.04 Mg/m³. The value obtained for the density of states at the Fermi level is 4.636 states/eV/f.u.

It has space group C2/m (No. 12), with a = 19.120 Å, b = 4.305 Å, c = 8.791 Å, α = 90.00°, β = 105.06° and γ = 90.00°. The asymmetric unit holds Pm at (0.009, 0.000, 0.237), Pm at (0.163, 0.500, 0.104), Pm at (0.174, 0.500, 0.566), Te at (0.000, 0.500, 0.500), Te at (0.165, 0.000, 0.833), As at (0.167, 0.000, 0.333) and Se at (0.000, 0.500, 0.000).



Entry 2:
SmThB12 | PBE | optimized geometry

For the energy relative to the elements, the calculation gives -0.47 eV/atom. Its total magnetic moment is 0.00 Bohr magnetons per cell. Its density is 6.10 Mg/m³. The value obtained for the density of states at the Fermi level is 2.098 states/eV/f.u.

It has space group P4/mmm (No. 123), with a = 4.114 Å, b = 4.114 Å, c = 8.236 Å, α = 90.00°, β = 90.00° and γ = 90.00°. The asymmetric unit holds Sm at (0.000, 0.000, 0.000), Th at (0.000, 0.000, 0.500), B at (0.198, 0.500, 0.250), B at (0.500, 0.500, 0.099) and B at (0.500, 0.500, 0.401).



Entry 3:
MgPb2Au | PBE | optimized geometry

For the energy relative to the elements, the calculation gives -0.03 eV/atom. Its total magnetic moment is 0.00 Bohr magnetons per cell. Its density is 10.43 Mg/m³. The value obtained for the density of states at the Fermi level is 1.582 states/eV/f.u.

It has space group P4/mmm (No. 123), with a = 3.751 Å, b = 3.751 Å, c = 7.191 Å, α = 90.00°, β = 90.00° and γ = 90.00°. The asymmetric unit holds Mg at (0.000, 0.000, 0.000), Pb at (0.500, 0.500, 0.264) and Au at (0.000, 0.000, 0.500).



Entry 4:
KCa2Au | PBE | optimized geometry

For the energy relative to the elements, the calculation gives -0.28 eV/atom. Its total magnetic moment is 0.00 Bohr magnetons per cell. Its density is 3.15 Mg/m³. The value obtained for the density of states at the Fermi level is 3.004 states/eV/f.u.
Brief
Next, give back only the lines earlier on with the word "degrees" in them.
Written answer
The space group is P4/mmm (No. 123) and the conventional cell measures 2.698, 2.698 and 17.794 Å, with angles of 90.00, 90.00 and 90.00 degrees. The asymmetric unit holds Zn at (0.000, 0.000, 0.000), Zn at (0.000, 0.000, 0.200), Zn at (0.000, 0.000, 0.400), Fe at (0.500, 0.500, 0.500), Cu at (0.500, 0.500, 0.100) and Cu at (0.500, 0.500, 0.300).
The space group is C2/m (No. 12) and the conventional cell measures 13.706, 3.789 and 6.032 Å, with angles of 90.00, 106.59 and 90.00 degrees. The asymmetric unit holds Zn at (0.046, 0.000, 0.237), Zn at (0.095, 0.500, 0.957), Zn at (0.137, 0.000, 0.687), Zn at (0.180, 0.500, 0.411), Fe at (0.000, 0.500, 0.500) and Cu at (0.230, 0.000, 0.141).
The space group is Cm (No. 8) and the conventional cell measures 8.430, 2.538 and 4.627 Å, with angles of 90.00, 97.88 and 90.00 degrees. The asymmetric unit holds Zn at (0.000, 0.000, 0.000), Fe at (0.004, 0.500, 0.497), Fe at (0.251, 0.500, 0.261) and Cu at (0.250, 0.000, 0.753).